Configuring a glass box scan

Although the scan is configured automatically, this section describes options you may want to change.


  1. Configure your scan as usual.
  2. In Configuration > Glass Box tab, select one of the defined glass box agents from the drop-down list, and optionally adjust the settings:



    Use this glass box agent

    If the glass box agent has been installed on your application server, and defined in AppScan, you can select it for use in the scan. If you have entered a Starting URL, AppScan attempts to select the appropriate agent automatically.

    When an agent is selected, AppScan attempts to connect to it, and indicates whether this was successful.
    Note: If you select an agent and get the message "Credentials needed", check that the credentials supplied in Tools > Glass Box Management are correct.
    If the required server does not appear in the drop-down list, you can define it by clicking the Glass box agent management link.
    Restriction: Only one glass box agent can be selected for use in a scan. If the application being scanned has more than one server, you must scan using each server agent separately.

    Use glass box in the Explore stage

    (Selected by default.)

    This function can increase coverage of the site, by examining the server-side source code for the presence of parameters that affect the behavior of the server, but do not appear in the response.

    Example server-side code:
    String debugOn = request.getParameter("debug");
    if (debugOn == "true"){
    In this example the developer has left the parameter "debug" in the code. It does not appear in any link on the site, but if an attacker were to send a request containing it, SECRET_SERVER_DATA could be obtained.

    Use glass box in the Test stage

    (Selected by default.) Select this check box to send glass box tests during the Test stage of the scan. This function can verify the success or failure of certain tests, such as Blind SQL Injection, with greater accuracy, and also reveal the existence of certain security issues that cannot be detected by black box techniques.

┌──
Computed powder X-ray diffraction pattern of Pm2TmTh4 for Cu Ka, from a PBE-relaxed structure.
Lines closer than 0.1° are merged.

Peak list (10 most intense, 2θ = 15–90°, low angle first)
2θ/deg  I/Imax  hkl
29.0  33.8  0 6 1
30.4  100.0  1 7 0
31.9  65.0  0 8 1
34.7  30.1  0 14 0
35.6  67.7  1 1 1
51.1  25.4  2 0 0
52.4  41.4  1 15 1
60.6  29.1  1 7 2
61.5  20.5  2 8 1
63.2  21.8  2 14 0

Cell and atoms:
abc: 3.5733 36.2375 3.5757
angles: 90.00 90.00 90.00
Element x y z (fractional)
Pm1 0.0000 0.2060 0.0000
Pm2 0.0000 0.7940 0.0000
Pm3 0.5000 0.2940 0.0000
Pm4 0.5000 0.7060 0.0000
Tm1 0.0000 0.5000 0.5000
Tm2 0.5000 0.0000 0.5000
Th1 0.0000 0.0695 0.0000
Th2 0.0000 0.3630 0.5000
Th3 0.0000 0.6370 0.5000
Th4 0.0000 0.9305 0.0000
Th5 0.5000 0.1370 0.5000
Th6 0.5000 0.4305 0.0000
Th7 0.5000 0.5695 0.0000
Th8 0.5000 0.8630 0.5000

----------

(1)
# Na5LaW4O16
Computed powder XRD pattern, a wavelength of 1.5418 Å. Input: a DFT-relaxed cell (GGA+U, the Materials Project).
No peak broadening, texture or thermal motion is included.

Atomic structure:
```
data_Na5LaW4O16
_chemical_formula_sum 'Na20 La4 W16 O64'
_cell_length_a 11.8574
_cell_length_b 11.8574
_cell_length_c 11.6290
_cell_angle_alpha 90.00
_cell_angle_beta 90.00
_cell_angle_gamma 90.00
_space_group_name_H-M_alt 'I 41/a'
_space_group_IT_number 88
loop_
_space_group_symop_operation_xyz
'x,y,z'
'-x,-y,-z'
'-y+3/4,x+1/4,z+1/4'
'y+3/4,-x+1/4,-z+1/4'
'-x+1/2,-y,z+1/2'
'x+1/2,y,-z+1/2'
'y+3/4,-x+3/4,z+3/4'
'-y+3/4,x+3/4,-z+3/4'
'x+1/2,y+1/2,z+1/2'
'-x+1/2,-y+1/2,-z+1/2'
'-y+1/4,x+3/4,z+3/4'
'y+1/4,-x+3/4,-z+3/4'
'-x,-y+1/2,z'
'x,y+1/2,-z'
'y+1/4,-x+1/4,z+1/4'
'-y+1/4,x+1/4,-z+1/4'
loop_
_atom_site_label
_atom_site_type_symbol
_atom_site_fract_x
_atom_site_fract_y
_atom_site_fract_z
_atom_site_occupancy
Na1 Na 0.0000 0.2500 0.1250 1
Na2 Na 0.1211 0.4538 0.8423 1
La1 La 0.0000 0.2500 0.6250 1
W1 W 0.0980 0.4322 0.3573 1
O1 O 0.0239 0.1002 0.2688 1
O2 O 0.0617 0.1347 0.7958 1
O3 O 0.0852 0.0665 0.5631 1
O4 O 0.1827 0.0300 0.9848 1
```

Main lines, sorted by position (2θ from 10° to 90°):
two_theta	d (Å)	I (rel.)
10.66	8.303	27
18.39	4.825	66
23.78	3.742	16
28.32	3.151	100
28.52	3.129	20
30.75	2.907	12
33.81	2.651	21
46.35	1.959	25
48.56	1.875	11
57.17	1.611	24

(2)
# V2CrFe3P6O24
Computed powder XRD pattern, a wavelength of 1.5418 Å. Input: a DFT-relaxed cell (GGA+U, the Materials Project).
No peak broadening, texture or thermal motion is included.

Atomic structure:
```
data_V2CrFe3P6O24
_chemical_formula_sum 'V6 Cr3 Fe9 P18 O72'
_cell_length_a 8.6474
_cell_length_b 8.6474
_cell_length_c 20.3994
_cell_angle_alpha 90.00
_cell_angle_beta 90.00
_cell_angle_gamma 120.00
_space_group_name_H-M_alt 'R 3'
_space_group_IT_number 146
_space_group_name_Hall 'R 3'
loop_
_atom_site_label
_atom_site_type_symbol
_atom_site_fract_x
_atom_site_fract_y
_atom_site_fract_z
_atom_site_occupancy
V1 V 0.0000 0.0000 0.0000 1
V2 V 0.0000 0.0000 0.4983 1
Cr1 Cr 0.0000 0.0000 0.6418 1
Fe1 Fe 0.0000 0.0000 0.1465 1
└──

    Skip equivalent black box tests

    (Cleared by default.) This means that both glass box tests and black box tests for the same vulnerability (WASC Threat Classification) are sent. This is because although the glass box tests are generally both more accurate and give more detailed results, occasionally a glass box test may fail while the equivalent black box test succeeds. If the results for your application are unchanged when black box tests are skipped, you can reduce scan time by selecting this check box.

    The status bar indicates that glass box scanning is enabled, and you are ready to start the scan.